Exercise:
Please search the material below for the word "For" and repeat each line that has it.
Data:
For Pr8Er3Sc, a DFT-relaxed cell (PBE, Alexandria) gives the computed powder diffractogram in this record (Cu Kα).
Intensities are scaled so that the largest is 100.

Peak list (10 most intense, 10° ≤ 2θ ≤ 80°, by intensity)
36.0°, rel. 100
28.9°, rel. 77
25.4°, rel. 75
24.0°, rel. 74
30.4°, rel. 72
32.4°, rel. 55
42.5°, rel. 49
44.3°, rel. 38
57.7°, rel. 31
60.0°, rel. 29

Cell and atoms:
Lattice parameters (Å, degrees): 8.5198 8.5198 8.5198 118.38 118.38 92.83
Sites, in units of the cell vectors:
Pr1 0.1304 0.1304 0.7466
Pr2 0.2412 0.7213 0.0000
Pr3 0.2787 0.2787 0.5199
Pr4 0.3838 0.3838 0.2534
Pr5 0.6162 0.8696 0.0000
Pr6 0.7213 0.2412 0.0000
Pr7 0.7588 0.7588 0.4801
Pr8 0.8696 0.6162 0.0000
Er1 0.0000 0.0000 0.0000
Er2 0.2500 0.7500 0.5000
Er3 0.7500 0.2500 0.5000
Sc1 0.5000 0.5000 0.0000

~~~~~

(1)
Starting from a PBE-relaxed structure, the PXRD pattern of K3NdP2O8 was computed for Cu Kα (weighted mean of Kα1 and Kα2).

Structural model:
```
28
Lattice="7.374 0.000 0.000 0.000 5.630 0.000 -0.073 0.000 9.515" Properties=species:S:1:pos:R:3 pbc="T T T"
K 0.032 1.408 1.821
K 0.974 4.223 3.879
K 2.156 1.408 8.740
K 5.146 4.223 0.775
K 6.327 1.408 5.636
K 7.270 4.223 7.694
Nd 3.601 4.223 6.727
Nd 3.700 1.408 2.788
P 1.923 4.223 0.819
P 2.181 1.408 5.483
P 5.121 4.223 4.032
P 5.379 1.408 8.696
O 0.393 4.223 0.933
O 1.518 1.408 4.070
O 1.753 0.137 6.267
O 1.753 2.678 6.267
O 2.319 4.223 8.852
O 2.497 2.960 1.532
O 2.497 5.485 1.532
O 3.580 4.223 4.242
O 3.722 1.408 5.273
O 4.805 0.145 7.983
O 4.805 2.670 7.983
O 4.982 1.408 0.663
O 5.549 2.952 3.248
O 5.549 5.493 3.248
O 5.783 4.223 5.445
O 6.909 1.408 8.582
```

Most intense lines, 10° ≤ 2θ ≤ 90°, low angle first:
d [Å], I/Imax
7.374, 77
4.045, 63
2.940, 36
2.927, 100
2.815, 57
2.763, 66

---

(2)
Starting from a PBE-relaxed structure, the PXRD pattern of K2NdP5O15 was computed for Cu Kα (weighted mean of Kα1 and Kα2).

Structural model:
```
46
Lattice="4.176 -5.750 0.000 4.176 5.750 0.000 -0.150 0.000 13.197" Properties=species:S:1:pos:R:3 pbc="T T T"
K 2.709 3.505 2.605
K 4.101 4.339 6.599
K 2.634 -3.505 9.204
K 4.176 -4.339 0.000
Nd 2.590 1.104 9.173
Nd 2.665 -1.104 2.575
P 3.960 4.590 10.127
P 3.154 1.276 12.859
P 5.140 3.502 12.542
P 3.229 -1.276 6.261
P 5.306 1.444 3.767
P 5.258 0.869 6.647
P 5.333 -0.869 0.049
P 5.231 -1.444 10.365
P 4.035 -4.590 3.529
P 5.215 -3.502 5.943
O 1.483 1.550 7.181
O 0.578 0.108 2.745
O 0.503 -0.108 9.344
O 4.499 4.691 11.626
O 2.301 1.158 11.629
O 3.950 3.169 9.654
O 3.771 2.746 12.933
O 2.674 1.018 1.000
O 1.558 -1.550 0.582
O 2.376 -1.158 5.030
O 4.365 1.592 7.615
O 5.347 2.741 3.019
O 2.599 -1.018 7.598
O 4.227 0.477 3.411
O 5.258 1.829 5.328
O 6.104 2.665 11.776
O 4.491 0.433 12.653
O 4.152 -0.477 10.009
O 4.566 -0.433 6.054
O 4.440 -1.592 1.017
O 3.846 -2.746 6.334
O 6.690 0.610 3.646
O 6.631 0.531 7.086
O 4.025 -3.169 3.055
O 5.183 -1.829 11.927
O 6.706 -0.531 0.488
O 6.615 -0.610 10.245
O 5.272 -2.741 9.617
O 4.574 -4.691 5.027
O 6.179 -2.665 5.177
```

Most intense lines, 10° ≤ 2θ ≤ 90°, low angle first:
d [Å], I/Imax
6.758, 43
6.038, 36
3.494, 45
3.365, 69
3.299, 46
3.281, 100

---

(3)
Starting from a PBE-relaxed structure, the PXRD pattern of KNdTa2O7 was computed for Cu Kα (weighted mean of Kα1 and Kα2).

Structural model:
```
22
Lattice="-3.868 10.563 1.952 3.868 -10.563 1.952 3.868 10.563 -1.952" Properties=species:S:1:pos:R:3 pbc="T T T"
K 0.000 5.133 0.000
K 0.000 15.992 0.000
Nd 0.000 0.000 0.016
Nd 0.000 10.563 1.947
Ta 1.957 8.332 0.010
Ta 1.911 -2.231 1.962
Ta 1.957 12.793 0.010
Ta 1.911 2.231 1.962
O 1.886 1.765 0.012
O 5.850 1.765 0.012
O 2.323 6.578 0.000
O 1.546 -3.985 1.952
O 0.000 8.260 0.031
O 3.868 9.059 0.018
O 1.534 10.563 0.007
O 2.334 0.000 1.959
O 0.000 1.503 1.970
O 0.000 12.865 0.031
O 2.323 14.547 0.000
O 1.546 3.985 1.952
O -1.982 8.797 1.964
O 1.982 8.797 1.964
```

Most intense lines, 10° ≤ 2θ ≤ 90°, low angle first:
d [Å], I/Imax
3.415, 50
3.121, 100
2.867, 70
2.725, 92
1.785, 43
1.655, 32

---

(4)
Worked solution:
For Pr8Er3Sc, a DFT-relaxed cell (PBE, Alexandria) gives the computed powder diffractogram in this record (Cu Kα).